Job:
Could you find "total_charge" and "[1.5844, -3.4692," in the entries underneath, and print these two lines and those between?

Input:
┌──
{
  "formula": "C27H15BrLuN6OS4Se",
  "method": "ωB97M-V with the def2-TZVPD basis set",
  "mol_weight_g_mol": 901.557,
  "total_charge": 1,
  "e_above_lowest_kj_mol": 53.07,
  "homo_lumo_gap_ev": 4.487,
  "elements": ["Lu", "Se", "N", "C", "C", "C", "C", "C", "N", "C", "C", "N", "C", "C", "C", "C", "C", "N", "H", "H", "H", "H", "H", "H", "O", "C", "S", "C", "C", "S", "S", "S", "Br", "C", "C", "C", "C", "C", "C", "N", "C", "C", "C", "C", "C", "C", "N", "H", "H", "H", "H", "H", "H", "H", "H", "H"],
  "xyz": [[0.8318, 0.4877, -0.1341], [-5.2313, -0.1027, 5.2208], [-5.1240, -0.3706, 3.4857], [-3.8824, -0.1532, 3.1307], [-3.3854, -0.3096, 1.7799], [-4.2075, -0.6972, 0.7198], [-3.6469, -0.8827, -0.5231], [-2.2810, -0.6888, -0.6726], [-1.4841, -0.2983, 0.3170], [-2.0247, -0.0865, 1.5330], [-1.1405, 0.3997, 2.5949], [0.1165, 0.7467, 2.2553], [0.9377, 1.1830, 3.2053], [0.5774, 1.2685, 4.5441], [-0.7113, 0.9414, 4.9023], [-1.6013, 0.5165, 3.9134], [-2.9902, 0.2217, 4.1933], [-3.5283, 0.2969, 5.3850], [-5.2628, -0.8493, 0.9024], [-4.2470, -1.1730, -1.3731], [-1.8086, -0.8488, -1.6349], [1.9233, 1.4977, 2.8813], [1.2944, 1.6120, 5.2756], [-1.0614, 1.0197, 5.9230], [0.2287, 7.0748, -2.7382], [0.3551, 5.9580, -2.3293], [1.5608, 5.4741, -1.1151], [1.1097, 3.7812, -1.0218], [0.1048, 3.3717, -1.8281], [-0.5764, 1.7764, -1.9453], [-0.6228, 4.5785, -2.8731], [2.0065, 2.8209, 0.1295], [2.0132, 1.1573, -7.5243], [1.9573, 0.4893, -5.7624], [2.3528, 1.2941, -4.7036], [2.2872, 0.8000, -3.4177], [1.8377, -0.5023, -3.1767], [1.4514, -1.3006, -4.2557], [1.5084, -0.8069, -5.5430], [1.7603, -0.9353, -1.8350], [1.9174, -2.1751, -1.5435], [1.7911, -2.6412, -0.1747], [1.8968, -3.9958, 0.1218], [1.7715, -4.4220, 1.4304], [1.5844, -3.4692, 2.4192], [1.5080, -2.1383, 2.0478], [1.5877, -1.7123, 0.7866], [2.6900, 2.3043, -4.8892], [2.6329, 1.4001, -2.5828], [1.0542, -2.2946, -4.0890], [1.1937, -1.4177, -6.3774], [2.2056, -2.9043, -2.2966], [2.0711, -4.7017, -0.6798], [1.8214, -5.4727, 1.6816], [1.4960, -3.7482, 3.4590], [1.3817, -1.3734, 2.8018]],
  "nbo_charge": [1.737, 1.034, -0.604, 0.100, -0.102, -0.086, -0.234, 0.105, -0.551, 0.243, 0.243, -0.546, 0.075, -0.238, -0.090, -0.120, 0.166, -0.622, 0.254, 0.247, 0.218, 0.230, 0.248, 0.254, -0.543, 0.202, 0.338, -0.392, -0.387, -0.376, 0.339, -0.368, 0.115, -0.061, -0.220, -0.177, 0.147, -0.236, -0.216, -0.527, 0.151, 0.122, -0.193, -0.121, -0.224, 0.088, -0.525, 0.249, 0.244, 0.214, 0.240, 0.207, 0.241, 0.246, 0.247, 0.215]
}



{
  "formula": "C27H18AsBeCl2NOS",
  "method": "ωB97M-V with the def2-TZVPD basis set",
  "mol_weight_g_mol": 559.354,
  "homo_lumo_gap_ev": 7.107,
  "elements": ["Be", "Cl", "C", "C", "C", "Cl", "C", "C", "C", "C", "N", "C", "C", "O", "H", "H", "H", "H", "S", "C", "C", "C", "C", "C", "C", "As", "C", "C", "C", "C", "C", "C", "C", "C", "C", "C", "C", "C", "H", "H", "H", "H", "H", "H", "H", "H", "H", "H", "H", "H", "H", "H"],
└──

Solution:
  "total_charge": 1,
  "e_above_lowest_kj_mol": 53.07,
  "homo_lumo_gap_ev": 4.487,
  "elements": ["Lu", "Se", "N", "C", "C", "C", "C", "C", "N", "C", "C", "N", "C", "C", "C", "C", "C", "N", "H", "H", "H", "H", "H", "H", "O", "C", "S", "C", "C", "S", "S", "S", "Br", "C", "C", "C", "C", "C", "C", "N", "C", "C", "C", "C", "C", "C", "N", "H", "H", "H", "H", "H", "H", "H", "H", "H"],
  "xyz": [[0.8318, 0.4877, -0.1341], [-5.2313, -0.1027, 5.2208], [-5.1240, -0.3706, 3.4857], [-3.8824, -0.1532, 3.1307], [-3.3854, -0.3096, 1.7799], [-4.2075, -0.6972, 0.7198], [-3.6469, -0.8827, -0.5231], [-2.2810, -0.6888, -0.6726], [-1.4841, -0.2983, 0.3170], [-2.0247, -0.0865, 1.5330], [-1.1405, 0.3997, 2.5949], [0.1165, 0.7467, 2.2553], [0.9377, 1.1830, 3.2053], [0.5774, 1.2685, 4.5441], [-0.7113, 0.9414, 4.9023], [-1.6013, 0.5165, 3.9134], [-2.9902, 0.2217, 4.1933], [-3.5283, 0.2969, 5.3850], [-5.2628, -0.8493, 0.9024], [-4.2470, -1.1730, -1.3731], [-1.8086, -0.8488, -1.6349], [1.9233, 1.4977, 2.8813], [1.2944, 1.6120, 5.2756], [-1.0614, 1.0197, 5.9230], [0.2287, 7.0748, -2.7382], [0.3551, 5.9580, -2.3293], [1.5608, 5.4741, -1.1151], [1.1097, 3.7812, -1.0218], [0.1048, 3.3717, -1.8281], [-0.5764, 1.7764, -1.9453], [-0.6228, 4.5785, -2.8731], [2.0065, 2.8209, 0.1295], [2.0132, 1.1573, -7.5243], [1.9573, 0.4893, -5.7624], [2.3528, 1.2941, -4.7036], [2.2872, 0.8000, -3.4177], [1.8377, -0.5023, -3.1767], [1.4514, -1.3006, -4.2557], [1.5084, -0.8069, -5.5430], [1.7603, -0.9353, -1.8350], [1.9174, -2.1751, -1.5435], [1.7911, -2.6412, -0.1747], [1.8968, -3.9958, 0.1218], [1.7715, -4.4220, 1.4304], [1.5844, -3.4692, 2.4192], [1.5080, -2.1383, 2.0478], [1.5877, -1.7123, 0.7866], [2.6900, 2.3043, -4.8892], [2.6329, 1.4001, -2.5828], [1.0542, -2.2946, -4.0890], [1.1937, -1.4177, -6.3774], [2.2056, -2.9043, -2.2966], [2.0711, -4.7017, -0.6798], [1.8214, -5.4727, 1.6816], [1.4960, -3.7482, 3.4590], [1.3817, -1.3734, 2.8018]],